**Wanted**
Now set down the lines underneath from the one with "eV: 3.5" to the one with "-1.5384" word for word.

**Excerpt**
┌──
# 1
Molecular formula: C7H14
Method: DFT, ωB97M-V/def2-TZVPD

Properties
E_LUMO (alpha / beta) in eV: -4.956 / -6.575
ΔE to the lowest compared entry with this formula, charge and spin in kJ/mol: 232.8
Charge: +1
Orbital gap (alpha / beta) in eV: 8.5 / 9.0
Spin multiplicity: 2

Positions of all 21 atoms, in Å:
C  -2.6744  0.5866  -0.3136
C  -2.0506  -0.7097  0.2225
C  -0.6723  -0.9331  -0.3047
C  0.4100  -1.0379  0.5819
C  0.5995  -0.6910  1.9309
C  1.7914  -1.1998  0.4091
C  2.6402  -0.2858  -0.4118
H  -2.0179  1.4211  -0.0736
H  -3.6773  0.7247  0.0802
H  -2.7565  0.4877  -1.3976
H  -1.9763  -0.6903  1.3120
H  -2.7047  -1.5404  -0.0541
H  -0.5788  -1.5110  -1.2176
H  1.1110  4.6704  -2.5532
H  0.0150  0.1107  2.3697
H  1.0176  -1.4133  2.6208
H  2.2878  -1.9775  0.9850
H  0.7602  4.0874  -2.3391
H  2.7238  0.6659  0.1175
H  3.6357  -0.6686  -0.6116
H  2.1168  -0.0959  -1.3527

Forces on the atoms, in the same order (eV/Å):
C 0.28 -0.34 -0.37
C 0.22 0.31 0.26
C -0.21 -1.15 1.03
C -0.73 -0.10 -0.44
C -0.93 -0.91 -0.16
C 1.15 0.62 0.43
C -0.62 -0.44 -0.40
H -0.28 0.21 -0.03
H 0.07 0.12 0.15
H -0.01 0.27 0.01
H -0.28 0.07 -0.01
H 0.21 -0.11 -0.04
H 0.27 0.65 -0.44
H 0.56 0.92 -0.34
H 0.37 0.34 -0.10
H 0.39 0.22 -0.07
H -0.05 0.13 0.10
H -0.56 -0.92 0.34
H 0.02 0.02 -0.02
H -0.01 -0.13 0.13
H 0.12 0.20 -0.04



# 2
Molecular formula: C6H14N3
Method: DFT, ωB97M-V/def2-TZVPD

Properties
E_LUMO in eV: -3.092
ΔE to the lowest compared entry with this formula, charge and spin in kJ/mol: 425.3
Charge: +1
Orbital gap in eV: 9.6

Positions of all 23 atoms, in Å:
C  -0.7962  -1.7564  0.1827
C  -0.0732  -2.1205  -1.0006
C  0.8381  -0.9550  -1.4132
C  1.4094  -0.3336  -0.0900
C  0.4736  2.0807  1.4464
C  -0.9798  1.2008  -0.4772
N  -1.7349  -1.9834  0.8609
N  0.4549  -0.2406  0.9141
N  -0.2961  0.9707  0.7964
H  0.5418  -3.0470  -0.8639
H  -0.6009  -2.2667  -1.9479
H  1.6158  -1.2860  -2.1274
H  0.1435  -0.2473  -1.9150
H  2.1154  -1.1223  0.3202
H  1.9492  0.5489  -0.3445
H  0.7715  1.8396  2.3975
H  1.2421  2.4859  0.8803
H  -0.3339  2.9372  1.4597
H  -0.3143  1.4369  -1.2402
H  -1.6474  0.3571  -0.7143
H  -1.5729  2.1400  -0.3973
H  -2.0657  -1.5974  1.7924
H  -1.1398  0.9583  1.4806

Forces on the atoms, in the same order (eV/Å):
C 1.45 1.79 1.01
C 2.19 -0.65 -1.87
C -0.11 0.55 0.15
C 1.58 -2.68 -1.55
C -4.34 2.91 -2.02
C -1.84 1.77 0.33
N -2.35 -0.13 2.31
N -2.46 -1.61 0.60
N -1.73 -0.05 2.51
H -0.61 0.67 0.38
H -1.00 -0.43 0.74
H -0.39 0.25 0.45
H 1.04 -0.45 -0.02
H -0.32 1.10 -0.59
H 0.59 0.89 0.11
H 0.53 -0.96 2.11
H 1.60 0.15 -1.31
H 1.66 -1.32 0.41
H 1.30 0.00 -1.25
H 0.45 0.46 0.16
H 0.04 -0.72 0.24
H 0.87 -0.67 -1.77
H 1.84 -0.87 -1.10



# 3
Molecular formula: C14H29N2O6PTm
Method: DFT, ωB97M-V/def2-TZVPD

Properties
E_LUMO (alpha / beta) in eV: -12.209 / -12.171
ΔE to the lowest compared entry with this formula, charge and spin in kJ/mol: 394.5
Charge: +3
Orbital gap (alpha / beta) in eV: 3.5 / 3.5
Spin multiplicity: 3

Positions of all 53 atoms, in Å:
C  1.0825  -0.8660  4.8390
O  0.1748  -0.5830  3.7181
C  0.9406  -0.1394  2.5058
C  -0.1438  0.1231  1.2579
C  0.1180  -0.7872  -0.0563
C  -0.0716  -0.0794  -1.5251
C  0.0665  -1.3993  -2.5556
C  1.4924  -1.6015  -3.2778
O  1.7837  -0.8154  -4.3536
N  2.5615  -2.6440  -2.9714
C  2.5937  -3.0559  -1.5266
C  2.4661  -3.8411  -3.8989
O  -1.3999  0.3823  -1.8629
C  -1.9416  1.5433  -1.2227
O  -1.5384  2.7611  -1.5918
C  -3.2333  1.3472  -0.2527
C  -3.3801  2.1969  1.0912
C  -2.3166  3.3749  1.4278
C  -3.4410  1.2152  2.4465
P  1.3622  1.1724  -1.7374
N  1.3117  2.4157  -0.6506
O  1.3043  1.9845  -3.3127
O  2.9660  0.4759  -1.4082
H  2.1380  -1.2046  4.4634
H  1.2385  0.0337  5.5861
H  0.6374  -1.7503  5.5016
H  1.7668  -0.9230  2.2311
H  1.3890  0.9071  2.7855
H  -0.2593  1.2715  1.0948
H  -1.1860  -0.2424  1.7202
H  1.2509  -1.1528  -0.0062
H  -0.5231  -1.7845  0.0829
H  -0.1902  -2.4086  -1.9737
H  -0.7580  -1.3574  -3.4250
H  3.2281  -4.0644  -1.4617
H  1.5607  -3.2987  -1.0366
└──

**Result**
Orbital gap (alpha / beta) in eV: 3.5 / 3.5
Spin multiplicity: 3

Positions of all 53 atoms, in Å:
C  1.0825  -0.8660  4.8390
O  0.1748  -0.5830  3.7181
C  0.9406  -0.1394  2.5058
C  -0.1438  0.1231  1.2579
C  0.1180  -0.7872  -0.0563
C  -0.0716  -0.0794  -1.5251
C  0.0665  -1.3993  -2.5556
C  1.4924  -1.6015  -3.2778
O  1.7837  -0.8154  -4.3536
N  2.5615  -2.6440  -2.9714
C  2.5937  -3.0559  -1.5266
C  2.4661  -3.8411  -3.8989
O  -1.3999  0.3823  -1.8629
C  -1.9416  1.5433  -1.2227
O  -1.5384  2.7611  -1.5918